(Request)
Please quote the block further below exactly.

(Given)
'''
Crystalline CoSbS2 at its relaxed geometry, computed with GGA-PBEsol.

Lattice parameters (Å, degrees): 3.8429 3.8429 7.5966 75.35 75.35 60.00
With the nearest neighbours (Å) after each atom.
Sites, in units of the cell vectors:
1 S 0.9043 0.9043 0.2871  1 Co 2.09
2 S 0.0957 0.0957 0.7129  1 Co 2.09
3 Sb 0.5000 0.5000 0.5000  6 S 2.70
4 Co 0.0000 0.0000 0.0000  2 S 2.09

## Properties
The uncorrected formation energy is 0.2500 eV/atom. As for the crystal system: trigonal. The density is 4.38 Mg/m³. As for the space group: R-3m, No. 166.

---

Crystalline CoSb2S at its relaxed geometry, computed with GGA-PBEsol.

Lattice parameters (Å, degrees): 5.8148 5.8148 7.1137 114.12 114.12 90.00
With the nearest neighbours (Å) after each atom.
Sites, in units of the cell vectors:
1 S 0.5000 0.5000 0.0000  4 Sb 2.71
2 Co 0.0000 0.0000 0.0000  4 Sb 2.35
3 Sb 0.3220 0.8750 0.2500  2 Co 2.35
4 Sb 0.9280 0.3750 0.2500  2 Co 2.35
5 S 0.7500 0.2500 0.5000  4 Sb 2.71
6 Sb 0.6250 0.6780 0.7500  2 Co 2.35
7 Sb 0.1250 0.0720 0.7500  2 Co 2.35
8 Co 0.2500 0.7500 0.5000  4 Sb 2.35

## Properties
The uncorrected formation energy is 0.1779 eV/atom. As for the crystal system: tetragonal. The density is 5.66 Mg/m³. As for the space group: I-42d, No. 122.


(1)
First-principles (PBE) data for crystalline LiAcNpO5 at its relaxed geometry, as listed in Alexandria.

CIF file:
```
data_LiAcNpO5
_symmetry_space_group_name_H-M 'C 1 2/c 1'
_symmetry_Int_Tables_number 15
_cell_length_a 7.161
_cell_length_b 9.725
_cell_length_c 8.071
_cell_angle_alpha 90.00
_cell_angle_beta 115.54
_cell_angle_gamma 90.00
loop_
_symmetry_equiv_pos_as_xyz
'x,y,z'
'-x,-y,-z'
'-x,y,-z+1/2'
'x,-y,z+1/2'
'x+1/2,y+1/2,z'
'-x+1/2,-y+1/2,-z'
'-x+1/2,y+1/2,-z+1/2'
'x+1/2,-y+1/2,z+1/2'
loop_
_atom_site_label
_atom_site_type_symbol
_atom_site_fract_x
_atom_site_fract_y
_atom_site_fract_z
Li1 Li 0.000 0.189 0.250
Ac1 Ac 0.000 0.174 0.750
Np1 Np 0.000 0.500 0.000
O1 O 0.000 0.428 0.750
O2 O 0.096 0.298 0.084
O3 O 0.201 0.044 0.404
```

Formation energy (no corrections): -2.93 eV/atom
Magnetic moment: 0.125 μB/atom

---

(2)
First-principles (PBE) data for crystalline LiAc2NpO8 at its relaxed geometry, as listed in Alexandria.

CIF file:
```
data_LiAc2NpO8
_symmetry_space_group_name_H-M 'P 1 2/m 1'
_symmetry_Int_Tables_number 10
_cell_length_a 4.341
_cell_length_b 7.902
_cell_length_c 5.268
_cell_angle_alpha 90.00
_cell_angle_beta 96.56
_cell_angle_gamma 90.00
loop_
_symmetry_equiv_pos_as_xyz
'x,y,z'
'-x,-y,-z'
'-x,y,-z'
'x,-y,z'
loop_
_atom_site_label
_atom_site_type_symbol
_atom_site_fract_x
_atom_site_fract_y
_atom_site_fract_z
Li1 Li 0.000 0.000 0.000
Ac1 Ac 0.500 0.251 0.500
Np1 Np 0.000 0.500 0.000
O1 O 0.045 0.301 0.763
'''

(Outcome)
Crystalline CoSbS2 at its relaxed geometry, computed with GGA-PBEsol.

Lattice parameters (Å, degrees): 3.8429 3.8429 7.5966 75.35 75.35 60.00
With the nearest neighbours (Å) after each atom.
Sites, in units of the cell vectors:
1 S 0.9043 0.9043 0.2871  1 Co 2.09
2 S 0.0957 0.0957 0.7129  1 Co 2.09
3 Sb 0.5000 0.5000 0.5000  6 S 2.70
4 Co 0.0000 0.0000 0.0000  2 S 2.09

## Properties
The uncorrected formation energy is 0.2500 eV/atom. As for the crystal system: trigonal. The density is 4.38 Mg/m³. As for the space group: R-3m, No. 166.

---

Crystalline CoSb2S at its relaxed geometry, computed with GGA-PBEsol.

Lattice parameters (Å, degrees): 5.8148 5.8148 7.1137 114.12 114.12 90.00
With the nearest neighbours (Å) after each atom.
Sites, in units of the cell vectors:
1 S 0.5000 0.5000 0.0000  4 Sb 2.71
2 Co 0.0000 0.0000 0.0000  4 Sb 2.35
3 Sb 0.3220 0.8750 0.2500  2 Co 2.35
4 Sb 0.9280 0.3750 0.2500  2 Co 2.35
5 S 0.7500 0.2500 0.5000  4 Sb 2.71
6 Sb 0.6250 0.6780 0.7500  2 Co 2.35
7 Sb 0.1250 0.0720 0.7500  2 Co 2.35
8 Co 0.2500 0.7500 0.5000  4 Sb 2.35

## Properties
The uncorrected formation energy is 0.1779 eV/atom. As for the crystal system: tetragonal. The density is 5.66 Mg/m³. As for the space group: I-42d, No. 122.


(1)
First-principles (PBE) data for crystalline LiAcNpO5 at its relaxed geometry, as listed in Alexandria.

CIF file:
```
data_LiAcNpO5
_symmetry_space_group_name_H-M 'C 1 2/c 1'
_symmetry_Int_Tables_number 15
_cell_length_a 7.161
_cell_length_b 9.725
_cell_length_c 8.071
_cell_angle_alpha 90.00
_cell_angle_beta 115.54
_cell_angle_gamma 90.00
loop_
_symmetry_equiv_pos_as_xyz
'x,y,z'
'-x,-y,-z'
'-x,y,-z+1/2'
'x,-y,z+1/2'
'x+1/2,y+1/2,z'
'-x+1/2,-y+1/2,-z'
'-x+1/2,y+1/2,-z+1/2'
'x+1/2,-y+1/2,z+1/2'
loop_
_atom_site_label
_atom_site_type_symbol
_atom_site_fract_x
_atom_site_fract_y
_atom_site_fract_z
Li1 Li 0.000 0.189 0.250
Ac1 Ac 0.000 0.174 0.750
Np1 Np 0.000 0.500 0.000
O1 O 0.000 0.428 0.750
O2 O 0.096 0.298 0.084
O3 O 0.201 0.044 0.404
```

Formation energy (no corrections): -2.93 eV/atom
Magnetic moment: 0.125 μB/atom

---

(2)
First-principles (PBE) data for crystalline LiAc2NpO8 at its relaxed geometry, as listed in Alexandria.

CIF file:
```
data_LiAc2NpO8
_symmetry_space_group_name_H-M 'P 1 2/m 1'
_symmetry_Int_Tables_number 10
_cell_length_a 4.341
_cell_length_b 7.902
_cell_length_c 5.268
_cell_angle_alpha 90.00
_cell_angle_beta 96.56
_cell_angle_gamma 90.00
loop_
_symmetry_equiv_pos_as_xyz
'x,y,z'
'-x,-y,-z'
'-x,y,-z'
'x,-y,z'
loop_
_atom_site_label
_atom_site_type_symbol
_atom_site_fract_x
_atom_site_fract_y
_atom_site_fract_z
Li1 Li 0.000 0.000 0.000
Ac1 Ac 0.500 0.251 0.500
Np1 Np 0.000 0.500 0.000
O1 O 0.045 0.301 0.763